Children's Hospital Colorado

Saving "the Sickest Baby in the Hospital"

1/3/2018 9 min. read

Jason Gien, MD, and Alicia Grenolds, CPNP, with Noah and Melissa Lindsay at Children’s Colorado in fall 2017.

Born in early 2016 with congenital diaphragmatic hernia (CDH), Noah Lindsay had a 20% chance of survival, due to the severity of the defect.

Following his delivery at the Colorado Fetal Care Center at Children's Hospital Colorado, he showed few signs of overcoming his grim prognosis, and went on extracorporeal membrane oxygenation (ECMO) five hours after birth.

He stayed on heart-lung bypass for 18 days; despite successfully separating from ECMO, his lungs were so fragile he required heavy sedation and prolonged medical paralysis.

Neonatologist Jason Gien, MD, and the CDH team attempted many ventilator strategies to stabilize Noah's breathing — including various types of conventional ventilation and high-frequency oscillatory ventilation. Despite the team's best efforts, Noah's overall health didn't improve.

On March 24, when Noah was less than three months old, caregivers began implying there was nothing else they could do — his oxygen saturations were dangerously low and there wasn't an apparent cause. Warren and Melissa Lindsay, Noah's parents, feared that Noah couldn't survive much longer. That day, nurse visits felt more like goodbyes, Melissa remembers.

In a last attempt to save Noah, the CDH team recommended a heart catheterization to gather more information about the low oxygen saturations and better understand his failure to improve from a clinical standpoint — a risky procedure for a patient caregivers had called, "the sickest baby in the hospital."

"If we had gone to any other hospital in the world, Noah would not have survived."
—Melissa Lindsay, Noah's mom

The catheterization results were devastating: they showed that Noah had multiple pulmonary arteriovenous malformations (AVMs) in the lungs.

Pulmonary AVMs are arteries that join with veins without passing through the capillary bed, Dr. Gien explains. This creates a shunt, where blood passes from the pulmonary arteries to the pulmonary veins and fails to get oxygenated, resulting in low oxygen levels.

This was why Noah was dying.

Treating Noah's pulmonary AVMs

Though there were records of pulmonary AVMs in the lungs of babies with CDH and other pulmonary disorders at autopsy, the occurrence of these AVMs had never been documented in a living patient. What was causing the pulmonary AVMs, the care team didn't know.

Melissa and Warren went to bed that night awaiting their son's imminent death.

Meanwhile, Dr. Gien and the CDH team spent hours researching all possible causes of the pulmonary AVMs. They shared their findings with a world-renowned team of experts in pulmonary hypertension: John Kinsella, MD, neonatologist; Steve Abman, MD, pediatric pulmonologist; and Dunbar Ivy, MD, pediatric cardiologist.

Together, they surmised that the pulmonary AVMs were occurring because Noah didn't have enough blood vessels in his lungs to handle the volume of blood passing through them. Perhaps if they closed Noah's patent ductus arteriosus (PDA) — the open connection between the aorta and the pulmonary artery — it would decrease blood flow to his lungs and prevent blood from passing through the AVMs.

This ran counterintuitive to CDH care; usually, babies with CDH need the PDA open to decrease pressure in the lungs. Closing it was incredibly risky. But Noah also had no other options for survival.

"'We need to be bold,'" Warren remembers Dr. Gien telling them in their care conference on March 25. "'My view is that as long as there is hope we need to fight for Noah's life. We want to operate.'"

The team performed a PDA ligation that night. This wasn't just a precarious surgery, given Noah's circumstances. It was unprecedented.

David Campbell, MD, pediatric cardiothoracic surgeon, operated on Noah, making an incision across Noah's chest and around his ribs to access the PDA. It was a much longer, more intense surgery than Drs. Campbell, Gien, Ivy, Kinsella or anyone else in the operating room had imagined. Noah lost a lot of blood.

Unrelated to this text: crystal structures:
-- begin --
1.
Starting from the PBE geometry in Alexandria, the X-ray diffraction stick pattern of ErSnHg4 was computed for Cu Kα (weighted mean of Kα1 and Kα2).

Structure:
```
data_ErSnHg4
_chemical_formula_sum 'Er1 Sn1 Hg4'
_symmetry_space_group_name_H-M 'P 1'
_symmetry_Int_Tables_number 1
_symmetry_space_group_name_Hall 'P 1'
_cell_length_a 3.7637
_cell_length_b 3.7637
_cell_length_c 10.6006
_cell_angle_alpha 90.00
_cell_angle_beta 90.00
_cell_angle_gamma 90.00
loop_
_atom_site_label
_atom_site_type_symbol
_atom_site_fract_x
_atom_site_fract_y
_atom_site_fract_z
Er1 Er 0.0000 0.0000 0.0000
Sn1 Sn 0.5000 0.5000 0.5000
Hg1 Hg 0.0000 0.0000 0.3254
Hg2 Hg 0.0000 0.0000 0.6746
Hg3 Hg 0.5000 0.5000 0.1634
Hg4 Hg 0.5000 0.5000 0.8366
```

Largest 10 diffraction maxima, in order of rising 2θ, 5° ≤ 2θ ≤ 70°:
- 2θ = 8.34°, d = 10.601 Å, I = 3
- 2θ = 16.73°, d = 5.300 Å, I = 2
- 2θ = 25.11°, d = 3.546 Å, I = 2
- 2θ = 33.68°, d = 2.661 Å, I = 55
- 2θ = 34.83°, d = 2.576 Å, I = 100
- 2θ = 37.83°, d = 2.378 Å, I = 1
- 2θ = 48.37°, d = 1.882 Å, I = 20
- 2θ = 51.74°, d = 1.767 Å, I = 8
- 2θ = 60.97°, d = 1.520 Å, I = 40
- 2θ = 63.17°, d = 1.472 Å, I = 18

2.
Starting from the PBE geometry in Alexandria, the X-ray diffraction stick pattern of Er3SnHg4 was computed for Cu Kα (weighted mean of Kα1 and Kα2).

Structure:
```
data_Er3SnHg4
_chemical_formula_sum 'Er3 Sn1 Hg4'
_symmetry_space_group_name_H-M 'P 1'
_symmetry_Int_Tables_number 1
_symmetry_space_group_name_Hall 'P 1'
_cell_length_a 9.9871
_cell_length_b 9.9871
_cell_length_c 4.1976
_cell_angle_alpha 101.97
_cell_angle_beta 101.97
_cell_angle_gamma 29.01
loop_
_atom_site_label
_atom_site_type_symbol
_atom_site_fract_x
_atom_site_fract_y
_atom_site_fract_z
Er1 Er 0.0000 0.0000 0.0000
Er2 Er 0.3637 0.3637 0.8634
Er3 Er 0.6363 0.6363 0.1366
Sn1 Sn 0.5000 0.5000 0.5000
Hg1 Hg 0.1215 0.1215 0.6220
Hg2 Hg 0.2422 0.2422 0.2427
Hg3 Hg 0.7578 0.7578 0.7573
Hg4 Hg 0.8785 0.8785 0.3780
```

Largest 10 diffraction maxima, in order of rising 2θ, 5° ≤ 2θ ≤ 70°:
- 2θ = 33.72°, d = 2.658 Å, I = 100
- 2θ = 35.90°, d = 2.502 Å, I = 22
- 2θ = 38.12°, d = 2.361 Å, I = 16
- 2θ = 43.10°, d = 2.099 Å, I = 13
- 2θ = 53.36°, d = 1.717 Å, I = 13
- 2θ = 57.30°, d = 1.608 Å, I = 12
- 2θ = 58.78°, d = 1.571 Å, I = 5
- 2θ = 63.14°, d = 1.473 Å, I = 17
- 2θ = 66.03°, d = 1.415 Å, I = 6
- 2θ = 66.15°, d = 1.413 Å, I = 6

3.
Starting from the PBE geometry in Alexandria, the X-ray diffraction stick pattern of Er6SnHg2 was computed for Cu Kα (weighted mean of Kα1 and Kα2).

Structure:
```
data_Er6SnHg2
_chemical_formula_sum 'Er12 Sn2 Hg4'
_symmetry_space_group_name_H-M 'P 1'
_symmetry_Int_Tables_number 1
_symmetry_space_group_name_Hall 'P 1'
_cell_length_a 8.7660
_cell_length_b 8.7660
_cell_length_c 8.7660
_cell_angle_alpha 115.14
_cell_angle_beta 112.67
_cell_angle_gamma 100.94
loop_
_atom_site_label
_atom_site_type_symbol
_atom_site_fract_x
_atom_site_fract_y
_atom_site_fract_z
Er1 Er 0.0387 0.2348 0.8039
Er2 Er 0.1894 0.2882 0.4775
-- stop --

Nevertheless, Dr. Campbell successfully closed the PDA. Three days later, despite multiple crises, Noah stabilized. A follow-up heart catheterization confirmed that the AVMs had resolved.

Outpatient CDH care and long-term management

Over the next six months, under the care of a dedicated primary nursing team in the NICU, Noah progressed. By October, Melissa and Warren were planning their discharge back to their home in Illinois.

The safest way to transport Noah was through an Illinois hospital. Though Melissa and Warren only expected him to stay there a few days, he ended up staying two weeks. Then, 27 days later, he spent another two months in that NICU. Throughout his stays at that hospital, Children's Colorado pediatric nurse practitioner Alicia Grenolds, CPNP, checked in with Melissa and Warren every week.

"It was a time that we felt helpless and hopeless," Melissa says. "If it weren't for Alicia, we would be lost. She goes above and beyond for our family."

About four months and two hospital stays in the Illinois hospital, the Lindsays drove back to Colorado after being discharged, eager to get back to the hospital that knew Noah best.

A week after being readmitted to Children's Colorado, under Noah's original care team, "He was noticeably happier," Warren says. "He was less tired."

Today, Noah laughs and babbles like a healthy baby. He still has a g-tube and needs oxygen. But he is no longer in the hospital.

"He's going to do great," Warren says of Noah's future.

Warren and Melissa wanted to keep Noah's outpatient care at Children's Colorado, but their home and family were in Illinois and they didn't want to relocate. They convinced Noah's large multidisciplinary team to allow them to stay in Illinois and treat him remotely from Colorado.

What that means is that pediatric nephrologist Jens Goebel, MD, emails them weekly to adjust Noah's ace inhibitor and diuretics as needed, since he has a history of acute kidney injury.

<<<
For FeOF, a GGA+U-relaxed structure gives the calculated PXRD pattern in this record (Cu Ka).
Neutral-atom scattering factors, no anomalous dispersion.

Lattice parameters (Å, degrees): 6.2988 6.2988 3.9647 90.00 90.00 90.12
Positions (direct):
Fe1 0.9997 0.2570 0.0000
Fe2 0.0003 0.7430 0.0000
Fe3 0.2570 0.9997 0.5000
Fe4 0.7430 0.0003 0.5000
O1 0.0007 0.2114 0.5000
O2 0.2114 0.0007 0.0000
O3 0.7886 0.9993 0.0000
O4 0.9993 0.7886 0.5000
F1 0.2000 0.4996 0.0000
F2 0.4996 0.2000 0.5000
F3 0.5004 0.8000 0.5000
F4 0.8000 0.5004 0.0000

Largest 6 diffraction maxima, low angle first, 2θ = 15–90°:
2θ (°), I_rel
26.6, 100
31.8, 27
39.2, 27
40.5, 86
45.8, 33
58.6, 22

---

For Li9Mn2Co5O16, a GGA+U-relaxed structure gives the calculated PXRD pattern in this record (Cu Ka).
Neutral-atom scattering factors, no anomalous dispersion.

Lattice parameters (Å, degrees): 5.9235 6.4296 7.8768 87.39 75.79 76.56
Positions (direct):
Li1 0.0000 0.0000 0.0000
Li2 0.0026 0.5188 0.5279
Li3 0.1273 0.8848 0.6422
Li4 0.2490 0.2575 0.7600
Li5 0.2561 0.7633 0.2713
Li6 0.4940 0.5293 0.5248
Li7 0.5128 0.0014 0.0063
Li8 0.7536 0.7659 0.2665
Li9 0.7683 0.2500 0.7600
Mn1 0.1355 0.3890 0.1407
Mn2 0.3768 0.1308 0.3943
Co1 0.3754 0.6336 0.8825
Co2 0.6263 0.8863 0.6417
Co3 0.6344 0.3853 0.1379
Co4 0.8825 0.1368 0.3978
Co5 0.8856 0.6380 0.8855
O1 0.0838 0.1964 0.5656
O2 0.0897 0.6830 0.0788
O3 0.1716 0.5777 0.7168
O4 0.1980 0.0915 0.2209
O5 0.3194 0.4342 0.3078
O6 0.3423 0.9249 0.8221
O7 0.4271 0.3378 0.9585
O8 0.4375 0.8419 0.4443
O9 0.5590 0.1875 0.5560
O10 0.5946 0.6702 0.0671
O11 0.6710 0.5839 0.7066
O12 0.6748 0.0968 0.2067
O13 0.8155 0.9304 0.8264
O14 0.8404 0.4278 0.3214
O15 0.9107 0.8515 0.4584
O16 0.9525 0.3360 0.9772

Largest 6 diffraction maxima, low angle first, 2θ = 15–90°:
2θ (°), I_rel
18.4, 100
34.9, 17
41.9, 31
44.6, 25
44.9, 25
62.8, 15

---

For MnP2O7, a GGA+U-relaxed structure gives the calculated PXRD pattern in this record (Cu Ka).
Neutral-atom scattering factors, no anomalous dispersion.

Lattice parameters (Å, degrees): 4.9437 6.5528 15.3202 90.00 90.20 90.00
Positions (direct):
Mn1 0.2494 0.0819 0.3654
Mn2 0.2494 0.4181 0.8654
Mn3 0.7506 0.5819 0.1346
Mn4 0.7506 0.9181 0.6346
P1 0.2383 0.6023 0.6667
P2 0.2383 0.8977 0.1667
P3 0.2459 0.1967 0.5734
P4 0.2459 0.3033 0.0734
P5 0.7541 0.6967 0.9266
P6 0.7541 0.8033 0.4266
P7 0.7617 0.1023 0.8333
P8 0.7617 0.3977 0.3333
O1 0.0431 0.1931 0.8185
O2 0.0431 0.3069 0.3185
O3 0.0589 0.0901 0.6387
O4 0.0589 0.4099 0.1387
O5 0.1509 0.1715 0.4793
O6 0.1509 0.3285 0.9793
O7 0.2102 0.0634 0.0894
O8 0.2102 0.4366 0.5894
O9 0.3451 0.0065 0.2478
O10 0.3451 0.4935 0.7478
O11 0.4359 0.7454 0.1282
O12 0.4359 0.7546 0.6282
O13 0.4548 0.6483 0.9106
O14 0.4548 0.8517 0.4106
O15 0.5452 0.1483 0.5894
O16 0.5452 0.3517 0.0894
O17 0.5641 0.2454 0.3718
O18 0.5641 0.2546 0.8718
O19 0.6549 0.5065 0.2522
O20 0.6549 0.9935 0.7522
O21 0.7898 0.5634 0.4106
O22 0.7898 0.9366 0.9106
O23 0.8491 0.6715 0.0207
O24 0.8491 0.8285 0.5207
>>>

It means that Alicia works with Noah's Illinois pediatrician to monitor his pulmonary hypertension through orders, tests and labs, and coordinates care between his specialists in Colorado.

It means that a Children's Colorado hematology physician, Beth Warren, MD, contacted them before Noah had a corrective surgery on Sept. 28; they monitored labs in Illinois and discussed a pre- and post-operation plan for anticoagulants.

It's a complicated setup, but it's what the care team and the Lindsays are willing to do to ensure Noah receives the best care possible. And it won't last forever. For now, the Lindsays bring Noah back to Colorado for checkups every three months, but that will taper to six months, and then to just once a year.

[Inserted here: calculated crystals]
____________
1.
# Ce3Al3Pd2Pt
Theoretical X-ray powder pattern, Cu Kα (λ = 1.5418 Å). Input: DFT lattice parameters and positions (GGA-PBE).
Peak positions follow from Bragg's law for the DFT cell and can differ from measured ones.

Principal peaks in the range 10° ≤ 2θ ≤ 90°, in order of rising 2θ:
| two_theta | I/Imax |
| --- | --- |
| 25.7 | 19.0 |
| 26.1 | 34.5 |
| 26.2 | 35.1 |
| 32.7 | 39.5 |
| 32.9 | 43.5 |
| 34.1 | 100.0 |
| 34.2 | 78.4 |
| 39.8 | 49.9 |
| 40.6 | 55.2 |
| 69.8 | 20.2 |

Structural model:
```
Ce3Al3Pd2Pt
1.0
7.146 0.000 0.000
0.000 4.440 0.000
-0.215 0.000 23.707
Ce Al Pd Pt
12 12 8 4
Cartesian
0.000 0.000 0.000
7.073 0.000 7.902
-0.128 0.000 15.800
3.136 2.220 3.974
3.010 2.220 19.771
3.110 2.220 11.874
3.496 0.000 8.945
3.589 0.000 1.042
3.463 0.000 16.842
6.708 2.220 4.985
6.588 2.220 20.789
6.683 2.220 12.866
0.855 0.000 3.037
0.727 0.000 18.840
0.824 0.000 10.922
2.258 2.220 7.018
2.142 2.220 22.814
2.228 2.220 14.910
4.412 0.000 5.922
4.287 0.000 21.728
4.384 0.000 13.821
5.852 2.220 1.947
5.724 2.220 17.750
5.818 2.220 9.825
1.361 2.220 1.660
1.232 2.220 17.463
1.761 0.000 5.609
1.634 0.000 21.417
1.726 0.000 13.509
5.355 0.000 3.353
5.228 0.000 19.161
5.315 0.000 11.240
1.331 2.220 9.557
4.911 2.220 7.285
4.792 2.220 23.107
4.885 2.220 15.199
```

2.
# CeAlTcPd
Theoretical X-ray powder pattern, Cu Kα (λ = 1.5418 Å). Input: DFT lattice parameters and positions (GGA-PBE).
Peak positions follow from Bragg's law for the DFT cell and can differ from measured ones.

Principal peaks in the range 10° ≤ 2θ ≤ 90°, in order of rising 2θ:
| two_theta | I/Imax |
| --- | --- |
| 23.3 | 21.9 |
| 27.0 | 1.7 |
| 38.6 | 100.0 |
| 45.6 | 11.3 |
| 55.7 | 16.9 |
| 61.2 | 4.7 |
| 69.8 | 34.0 |
| 74.7 | 3.5 |
| 82.7 | 10.7 |
| 87.4 | 3.6 |

Structural model:
```
CeAlTcPd
1.0
0.000 3.301 3.301
3.301 0.000 3.301
3.301 3.301 0.000
Ce Al Tc Pd
1 1 1 1
Cartesian
0.000 0.000 0.000
3.301 3.301 3.301
4.951 4.951 4.951
1.650 1.650 1.650
```

3.
# CeY2Al3Pd3
Theoretical X-ray powder pattern, Cu Kα (λ = 1.5418 Å). Input: DFT lattice parameters and positions (GGA-PBE).
Peak positions follow from Bragg's law for the DFT cell and can differ from measured ones.

Principal peaks in the range 10° ≤ 2θ ≤ 90°, in order of rising 2θ:
| two_theta | I/Imax |
| --- | --- |
| 24.3 | 27.1 |
| 24.6 | 28.1 |
| 26.4 | 22.9 |
| 33.2 | 27.8 |
| 33.4 | 76.1 |
| 36.2 | 100.0 |
| 36.5 | 57.6 |
| 43.0 | 27.3 |
| 44.4 | 22.7 |
| 45.3 | 35.0 |

Structural model:
```
CeY2Al3Pd3
1.0
4.005 0.000 0.000
0.000 6.238 3.659
0.000 -6.238 3.659
Ce Y Al Pd
1 2 3 3
Cartesian
0.000 0.000 0.000
0.000 -2.585 2.716
0.000 2.585 2.716
2.003 0.000 2.540
2.003 -1.518 5.101
2.003 1.518 5.101
0.000 0.000 4.262
2.003 -4.200 4.214
2.003 4.200 4.214
```

4.
# CePm2Al2
Theoretical X-ray powder pattern, Cu Kα (λ = 1.5418 Å). Input: DFT lattice parameters and positions (GGA-PBE).
Peak positions follow from Bragg's law for the DFT cell and can differ from measured ones.
____________

"It reflects that the team created a plan for him when he left, rather than just passing him off to the Illinois docs," Melissa says.

Why the Lindsays chose the Colorado Fetal Care Center

At Melissa's 18-week ultrasound in Illinois, a maternal fetal medicine (MFM) specialist found an anomaly and diagnosed their fetus with CDH. That MFM didn't see many babies with this condition; according to Melissa, she didn't know of any CDH specialists in the state.

Their MFM connected them to a family that pointed them to one of the world's leading centers for CDH and one of the few centers in the country approved for fetoscopic endoluminal tracheal occlusion (FETO) for severe CDH: the Colorado Fetal Care Center at Children's Colorado. The team responded to their inquiries immediately.

"We knew Children's Colorado was the place we wanted to focus our attention," Warren adds. "That was a pivotal moment."

The Lindsays flew to Colorado twice during Melissa's pregnancy. For the first visit, a care coordinator scheduled all their appointments so they could move from one provider to the next — all in the same place, on the same day. The level of customer service they received felt dramatically different than any other care facility.

"It eliminated a lot of stress for us," Melissa says. "It was beautifully structured."

At the end of that first day, Melissa and Warren gathered in a conference room with the specialists who would be involved in their care: a maternal fetal medicine specialist, fetal and pediatric surgeons and neonatologists. They explained CDH in detail, what they could expect for the remainder of the pregnancy, at delivery, after delivery in the NICU, and long-term outcomes.

"All of them had a thousand times more information about CDH than what we were receiving in Illinois," Melissa says. "It was mind-blowing."

The care team projected an image of Melissa's ultrasound and walked the Lindsays through the diagnosis. It was far worse than anyone in Illinois had told them.

"It's a really horrible thing to hear, but when you have a team like that giving you every answer you could want and need, you have every tool to make the best decisions for your child's care," Melissa says.

What makes a good doctor

For the rest of Melissa's pregnancy, she and Warren emailed questions to the members of their team at the Colorado Fetal Care Center. A day later, a physician or nurse would call them and answer their questions. That attentiveness never changed.

"It has been present the entire time we've been with Children's Colorado," Melissa says. "It's cultural."

Melissa delivered Noah at the Colorado Fetal Care Center via cesarean section.

For every CDH delivery, the same team of specialists from the Colorado Fetal Care Center gathers in the delivery room and the adjacent infant stabilization room — that includes neonatologists like Drs. Gien and Kinsella; obstetrician Frank Chow, MD; maternal fetal medicine specialist Henry Galan, MD; and fetal surgeon Kenneth Liechty, MD.

Because babies with CDH require resuscitation immediately after birth, it's imperative that the teams move swiftly, and without error. Having the same people there for every delivery ensures greater consistency, it builds individual and team expertise, it makes for a calmer delivery, and it makes for a more stable transition to life outside the womb.

Seconds after Noah's birth, caregivers whisked him to the infant stabilization room where the team intubated him, placed arterial and venous catheters, and stabilized him so he could transfer to the NICU, just down the hall from the delivery room.

CDH survivor

In the NICU, "They were very, very busy," Warren remembers. "But they still made an effort to let us have a special moment with him. We really appreciated that."

A few hours later, Noah went on ECMO.

He would go on to spend the first 10 months of his life in the NICU at Children's Colorado.

One of the Lindsay's biggest reasons for returning to Colorado, which they emphasize to this day, was Alicia.

"She truly helped us feel like our son was safe again," Melissa says. "Trust plays such a huge role in having any peace of mind when you have a child as fragile as Noah. She gave that peace of mind back to us and hasn't let us feel helpless or hopeless again since then, even while on the other side of the country."

In total, more than 50 nurses and specialists kept Noah alive and growing while he was an inpatient at Children's Colorado.

"What they did came from a deeper place than being a good doctor or nurse. You cannot find many people that are geniuses and have such incredible hearts," Melissa says. "At the end of the day, they loved our son."